Home Improvement

Prepare Your Home for the Summer Heat

Here the piece breaks off for crystal structures:
Diffraction record for KCrIO6. The X-ray diffraction stick pattern is computed, not measured: it uses the GGA+U geometry in Alexandria and Cu Kα.

Cell and atoms:
```
KCrIO6
1.0
9.5896 0.0000 0.0000
0.0000 4.7921 0.0000
-4.5033 0.0000 13.6320
K Cr I O
4 4 4 24
direct
0.1066 0.1011 0.1602 K
0.1066 0.3989 0.6602 K
0.8934 0.6011 0.3398 K
0.8934 0.8989 0.8398 K
0.2247 0.5298 0.9663 Cr
0.2247 0.9702 0.4663 Cr
0.7753 0.0298 0.5337 Cr
0.7753 0.4702 0.0337 Cr
0.4307 0.6772 0.3329 I
0.4307 0.8228 0.8329 I
0.5693 0.1772 0.1671 I
0.5693 0.3228 0.6671 I
0.1226 0.0977 0.3619 O
0.1226 0.4023 0.8619 O
0.1266 0.7464 0.0069 O
0.1266 0.7536 0.5069 O
0.2495 0.5993 0.2536 O
0.2495 0.9007 0.7536 O
0.2904 0.2176 0.5471 O
0.2904 0.2824 0.0471 O
0.3801 0.7162 0.9489 O
0.3801 0.7838 0.4489 O
0.4490 0.0323 0.2892 O
0.4490 0.4677 0.7892 O
0.5510 0.5323 0.2108 O
0.5510 0.9677 0.7108 O
0.6199 0.2162 0.5511 O
0.6199 0.2838 0.0511 O
0.7096 0.7176 0.9529 O
0.7096 0.7824 0.4529 O
0.7505 0.0993 0.2464 O
0.7505 0.4007 0.7464 O
0.8734 0.2464 0.4931 O
0.8734 0.2536 0.9931 O
0.8774 0.5977 0.1381 O
0.8774 0.9023 0.6381 O
```

The 10 most intense peaks (15° ≤ 2θ ≤ 90°), low angle first:
hkl	Position (°2θ)	d_spacing	I (rel.)
1 0 2	18.5	4.784	66
0 1 2	22.7	3.920	98
1 1 -2	23.0	3.863	49
2 1 -1	26.3	3.388	100
2 0 2	26.7	3.334	81
0 1 3	27.0	3.299	89
2 1 -2	27.2	3.277	53
2 0 -4	27.3	3.263	82
0 2 1	38.1	2.360	30
2 1 4	42.2	2.140	30


(1)
Sr3Fe2S2O5: calculated powder XRD pattern (copper Kα), based on DFT lattice parameters and positions (GGA+U).
Neutral-atom scattering factors, no anomalous dispersion.

Most intense lines, 2θ from 10° to 80°, sorted by position:
two_theta  I (rel.)  hkl
15.26  163  0 0 4
29.38  324  1 0 5
31.47  889  1 1 0
35.07  1000  1 0 7
39.32  403  1 1 6
45.10  550  2 0 0
46.96  149  0 0 12
57.62  163  1 1 12
58.38  436  2 1 7
65.68  164  2 2 0
67.14  187  2 0 12
74.65  145  3 1 0

Atomic structure:
```
data_Sr3Fe2S2O5
_symmetry_space_group_name_H-M 'I 4/m m m'
_symmetry_Int_Tables_number 139
_symmetry_space_group_name_Hall '-I 4 2'
_cell_length_a 4.021
_cell_length_b 4.021
_cell_length_c 23.219
_cell_angle_alpha 90.00
_cell_angle_beta 90.00
_cell_angle_gamma 90.00
loop_
_atom_site_label
_atom_site_type_symbol
_atom_site_fract_x
_atom_site_fract_y
_atom_site_fract_z
Sr1 Sr 0.000 0.000 0.000
Sr2 Sr 0.000 0.000 0.159
Fe1 Fe 0.000 0.000 0.417
S1 S 0.000 0.000 0.309
O1 O 0.000 0.000 0.500
O2 O 0.000 0.500 0.085
```

***

(2)
SrFe2S2O: calculated powder XRD pattern (copper Kα), based on DFT lattice parameters and positions (GGA+U).
Neutral-atom scattering factors, no anomalous dispersion.

Most intense lines, 2θ from 10° to 80°, sorted by position:
two_theta  I (rel.)  hkl
22.84  929  0 1 2
27.96  921  1 1 1
33.22  309  0 2 2
35.77  1000  1 0 3
37.03  426  1 2 1
39.53  194  0 1 4
40.47  173  1 2 2
45.86  320  2 0 0
47.99  177  1 3 0
51.81  218  2 1 2
56.19  302  1 3 3
60.16  198  1 2 5

Atomic structure:
```
data_SrFe2S2O
_symmetry_space_group_name_H-M 'P m n 21'

How to prepare your home for the summer heat:

It’s important to prepare your home for the summer heat, as it can be tough to keep cool during those months. There are many ways to do that, and it’s important to take measures to protect yourself from the sun. Stay hydrated and wear sunscreen to keep yourself safe and comfortable.

Install air conditioners:

Installing air conditioners is one of the best ways to prepare your home for the summer heat. You can install them in your windows or your ceiling, and they will keep your home cool and comfortable.

If you already have air conditioners, make sure they are functioning in tip-top shape by having them cleaned and serviced if necessary. Having your AC repaired as early as now can save you a lot of trouble come summertime.

Shades and blinds:

You can also keep your home cool by installing shades and blinds. The darker the shade or blind, the cooler your home will be. You can also install reflective film on your windows to keep the sun from entering your home and heating it.

Next to the page, the page also holds materials data >
1.
The following is a simulated X-ray powder pattern of LiAc4Pd. It was derived from a cell relaxed with GGA-PBE, using Cu Kα, 1.54184 Å.

The 10 most intense peaks (2θ from 10° to 90°), sorted by position:
two_theta  I_rel
25.25  100.0
28.25  28.4
33.61  18.1
35.96  11.4
36.08  11.4
42.47  27.4
44.49  19.3
46.43  15.2
53.50  13.3
66.21  12.6

Structure:
```
data_LiAc4Pd
_symmetry_space_group_name_H-M 'I 41 m d'
_symmetry_Int_Tables_number 109
_symmetry_space_group_name_Hall 'I 4bw -2'
_cell_length_a 9.9889
_cell_length_b 9.9889
_cell_length_c 9.9574
_cell_angle_alpha 90.00
_cell_angle_beta 90.00
_cell_angle_gamma 90.00
loop_
_atom_site_label
_atom_site_fract_x
_atom_site_fract_y
_atom_site_fract_z
Li1 0.0000 0.0000 0.0000
Ac1 0.0000 0.1928 0.2656
Ac2 0.0000 0.1996 0.7329
Pd1 0.0000 0.0000 0.5002
```

***

2.
The following is a simulated X-ray powder pattern of Hf5Si4. It was derived from a cell relaxed with GGA-PBE, using Cu Kα, 1.54184 Å.

The 10 most intense peaks (2θ from 10° to 90°), sorted by position:
two_theta  I_rel
27.39  40.5
28.82  44.6
29.09  33.1
33.10  41.5
35.26  75.8
36.64  100.0
39.36  72.9
40.79  72.2
59.74  41.3
62.81  35.1

Structure:
```
data_Hf5Si4
_symmetry_space_group_name_H-M 'P 41 21 2'
_symmetry_Int_Tables_number 92
_symmetry_space_group_name_Hall 'P 4abw 2nw'
_cell_length_a 7.0672
_cell_length_b 7.0672
_cell_length_c 12.8773
_cell_angle_alpha 90.00
_cell_angle_beta 90.00
_cell_angle_gamma 90.00
loop_
_atom_site_label
_atom_site_fract_x
_atom_site_fract_y
_atom_site_fract_z
Hf1 0.0006 0.1469 0.1263
Hf2 0.0022 0.3468 0.5330
Hf3 0.1743 0.8257 0.2500
Si1 0.0471 0.6973 0.4363
Si2 0.1463 0.2040 0.3230
```

***

3.
The following is a simulated X-ray powder pattern of Sr3Li2Ag7. It was derived from a cell relaxed with GGA-PBE, using Cu Kα, 1.54184 Å.

The 10 most intense peaks (2θ from 10° to 90°), sorted by position:
two_theta  I_rel
19.67  35.9
28.83  41.4
31.59  74.5
34.87  89.2
35.36  52.3
36.08  100.0
38.60  56.6
57.23  27.5
59.71  30.2
62.21  38.5

Structure:
```
data_Sr3Li2Ag7
_symmetry_space_group_name_H-M 'R -3 m'
_symmetry_Int_Tables_number 166
_symmetry_space_group_name_Hall '-R 3 2"'
_cell_length_a 5.9689
_cell_length_b 5.9689
_cell_length_c 27.0788
_cell_angle_alpha 90.00
_cell_angle_beta 90.00
_cell_angle_gamma 120.00
loop_
_atom_site_label
_atom_site_fract_x
_atom_site_fract_y
_atom_site_fract_z
Sr1 0.0000 0.0000 0.0000
Sr2 0.0000 0.0000 0.1404
Li1 0.0000 0.0000 0.3320
Ag1 0.0000 0.0000 0.5000
Ag2 0.0010 0.5005 0.9206
```

***

4.
The following is a simulated X-ray powder pattern of Zr2ScHg. It was derived from a cell relaxed with GGA-PBE, using Cu Kα, 1.54184 Å.

The 10 most intense peaks (2θ from 10° to 90°), sorted by position:
two_theta  I_rel
22.70  37.2
35.03  100.0
35.15  12.9
37.80  20.3
42.05  30.0
48.32  11.0
57.81  23.1
66.47  15.1
72.32  25.3
74.03  11.0

Structure:
```
data_Zr2ScHg
_symmetry_space_group_name_H-M 'I 4/m m m'
_symmetry_Int_Tables_number 139
_symmetry_space_group_name_Hall '-I 4 2'

Be wary of cheap hacks online to cover windows as you might end up breaking your windows. In the end, you might be left with a costly repair and an uncomfortably hot home.


Fans are also a great way to cool down your home. Install them in every room to create a breeze and keep you comfortable all summer long. Remember to turn off the fan once you leave the room to save on electricity. You can get a smart plug so you can control your appliances over your phone in case you tend to forget.

Protect yourself from the sun:

Spending too much time exposed to the sun can cause serious damage to your skin. One of the best ways to protect yourself from the sun is to wear sunscreen. Apply sunscreen liberally all over your body, and make sure to reapply it often. Choose a sunscreen with SPF 30 or higher to get the best protection.

Ways of cooling off in the summer:

One thing to be wary of in the summer is a heatwave. Heatwaves can be extremely dangerous, and it’s important to take the necessary precautions to protect yourself. Here are a few tips on how to stay safe during a heatwave:

Drink lots of cold water:

Water is essential for keeping cool in the summer. Drink plenty of cold water to keep your body hydrated and cool. Whether you are playing sports or just hanging out, don’t let yourself get dehydrated especially not in the summer.

Spend time in the pool:

Swimming is a great way to cool off in the summer. Head to your nearest pool and take a swim. Or better yet, head to the beach for a refreshing dip in the ocean. Don’t forget to wear sunscreen!

Eat cold foods:

Eating cold foods is a great way to stay cool in the summer heat. Choose foods like ice cream, popsicles, and salads to help keep you refreshed. Just be careful about eating too much ice cream, popsicles, and other frozen treats since they also often have a lot of sugar.

Stay inside:

If it’s too hot outside, stay inside where it’s cooler. Stay indoors and relax in air conditioning. You can still enjoy the company of other people indoors without being exposed to harmful UV rays from the sun. For example, you can have a movie marathon with your friends and have a fun time at home.

Go on trips:

The summer is a great time to take a trip. Nothing beats spending time with your family or friends out of town, by the pool, or at the beach where it’s much cooler. Or you could go to a place with a cooler climate!


The summer can be a challenging time to keep your home cool and comfortable. However, you don’t have to sweat it out. There are many ways to keep your home cool. You can install air conditioners, shades and blinds, fans, and more. Make sure to protect yourself from the sun by wearing sunscreen and staying hydrated. Being prepared during the summer will make it much more enjoyable for you and your family to spend time together.